Thursday, October 29, 2009

Risa D'Angeles

When I was in college at UC-Santa Cruz, I thought that she was following me because her astrological writings every week in The Good Times paper were so relevant to what was occurring in my life each week. I love her writing because it has a more spiritual component and she asks the reader to think, to grow...not just see if they should buy a lottery ticket this week. Her new column is published every week on Thursday:

Here is my horoscope for this week:
CANCER (June 21-July 20): As Cancer is all about family; Saturn will bring that issue forth with even more force and vitality. You’ll seek to live close to loved ones, unable to separate from them, teaching them new ways of understanding the world. For Cancer professional, home calls more and more often. Some will seek their roots, relatives and genealogy to establish a deeper sense of self through understanding family history. Include the nation presently lived in. What is its ray and purpose?

Monday, October 19, 2009


As an artist, if I am feeling in the need of inspiration...I can go to a museum or a gallery and it doesn't take long for me to feel like I need to hurry home and create something myself! Today however, inspiration actually came by just talking to another artist. In the Saturday bulletin, there was a flier for All Saints' Day that included a lovely watercolor of two children playing dress up in the attic of a house. Our priest mentioned that the painting had been done by the church secretary. Today, when I saw her (I am creating an archive for the church-it is the oldest in Carlsbad, built in they have a few items :) !), I told her that she had been given away at the service. We began to talk about art after I told her that I have my degree in art and also paint (okay, I haven't for awhile, but I have painted, but I still consider myself a painter!)

We have made plans to do some plein-air painting together in La Jolla, as well as go to the Watts Atelier on a Friday night to do some figure sketching!

Most importantly for me, in this the inspiration I received from talking about art with a fellow artist. Tonight, Lauren and I created assemblage & collage art cards...and have created even more inspiration for the both of us....we are going to do more! It was so fun...Lauren plans on keeping hers...I'll be using mine! A side benefit was the together-time that Lauren and I had the chance to have tonight, creating and talking and sharing...."priceless!" and I am thankful for that! :)

Saturday, October 17, 2009

Jerome, Arizona

Misplaced calculated crystals
- - -
Structure and calculated PXRD pattern of ZnNi2Pb (a DFT-relaxed cell (GGA-PBE, Alexandria); Cu Kα).
Intensities are scaled so that the largest is 100.

Largest 10 diffraction maxima, most intense first, 10 to 90 degrees two-theta:
d = 2.427 Å, I = 100, (1 1 -1); d = 3.100 Å, I = 48, (0 1 1); d = 2.129 Å, I = 39, (0 1 2); d = 1.961 Å, I = 26, (0 2 0); d = 2.535 Å, I = 24, (0 0 2); d = 2.348 Å, I = 23, (1 0 1); d = 2.332 Å, I = 23, (1 0 -2); d = 5.069 Å, I = 19, (0 0 1); d = 1.551 Å, I = 19, (0 2 2); d = 2.015 Å, I = 19, (1 1 1)

```
data_ZnNi2Pb
_symmetry_space_group_name_H-M 'P 1 m 1'
_symmetry_Int_Tables_number 6
_symmetry_space_group_name_Hall 'P -2y'
_cell_length_a 3.2432
_cell_length_b 3.9216
_cell_length_c 5.3114
_cell_angle_alpha 90.00
_cell_angle_beta 107.36
_cell_angle_gamma 90.00
loop_
_atom_site_label
_atom_site_type_symbol
_atom_site_fract_x
_atom_site_fract_y
_atom_site_fract_z
Zn1 Zn 0.0000 0.0000 0.0000
Ni1 Ni 0.5504 0.5000 0.1032
Ni2 Ni 0.6905 0.0000 0.3850
Pb1 Pb 0.2892 0.5000 0.5832
```

=====

Structure and calculated PXRD pattern of Ni4Pd (a DFT-relaxed cell (GGA-PBE, Alexandria); Cu Kα).
Intensities are scaled so that the largest is 100.

Largest 10 diffraction maxima, most intense first, 10 to 90 degrees two-theta:
d = 2.091 Å, I = 100, (1 1 0); d = 1.832 Å, I = 32, (1 0 5); d = 1.101 Å, I = 22, (2 1 5); d = 1.273 Å, I = 18, (1 2 5); d = 1.770 Å, I = 15, (0 2 0); d = 1.295 Å, I = 9, (2 0 0); d = 2.738 Å, I = 4, (0 1 3); d = 3.415 Å, I = 3, (0 1 1); d = 6.479 Å, I = 2, (0 0 2); d = 2.221 Å, I = 2, (1 0 3)

```
data_Ni4Pd
_symmetry_space_group_name_H-M 'I m m m'
_symmetry_Int_Tables_number 71
_symmetry_space_group_name_Hall '-I 2 2'
_cell_length_a 2.5901
_cell_length_b 3.5403
_cell_length_c 12.9585
_cell_angle_alpha 90.00
_cell_angle_beta 90.00
_cell_angle_gamma 90.00
loop_
_atom_site_label
_atom_site_type_symbol
_atom_site_fract_x
_atom_site_fract_y
_atom_site_fract_z
Ni1 Ni 0.0000 0.0000 0.1089
Ni2 Ni 0.0000 0.0000 0.2972
Pd1 Pd 0.0000 0.0000 0.5000
```

=====

- Number 2 is which compound?
  Ni4Pd

=====

- Number 1 is which compound?
  ZnNi2Pb

=====

- What is the formula in the second record?
  Ni4Pd


No. 1
Structure and calculated PXRD pattern of K2ScTe3O12 (a crystal structure in Alexandria, relaxed with PBE; Cu Kα X-rays).

Most intense lines, 10 to 90 degrees two-theta, by angle:
14.76°, I 88; 17.07°, I 8; 28.50°, I 100; 29.79°, I 63; 45.36°, I 30; 49.65°, I 43; 52.10°, I 16; 58.98°, I 26; 64.00°, I 11; 69.49°, I 15

Structure:
```
data_K2ScTe3O12
_chemical_formula_sum 'K6 Sc3 Te9 O36'
_cell_length_a 7.3409
_cell_length_b 7.3409
_cell_length_c 18.0133
_cell_angle_alpha 90.00
_cell_angle_beta 90.00
_cell_angle_gamma 120.00
_space_group_name_H-M_alt 'R -3 m'
_space_group_IT_number 166
_space_group_name_Hall '-R 3 2"'
loop_
_atom_site_label
_atom_site_fract_x
_atom_site_fract_y
_atom_site_fract_z
_atom_site_occupancy
K1 0.0000 0.0000 0.1310 1
Sc1 0.0000 0.0000 0.5000 1
Te1 0.0000 0.5000 0.0000 1
- - -

The town of Jerome, Arizona was considered a ghost town when I visited it in 1979 with my family and my uncle, aunt, and cousins. My cousin, Joe, who was at the time about 15 years old, wanted to find a tarantula to keep as a pet. It was their mating season and so there were lots of them around and the males were especially colorful and beautiful! We drove slowly around the area, us kids hanging out the back of the truck looking for a perfect specimen. When we spotted one, Joe hopped out the back of the truck. He located a large rock to drop in front of the tarantula to prevent it from crawling any further while he got a container to put it in. The tarantula was absolutely the sun or, orange, and yellow. Unfortunately, it got crushed when Joe dropped the rock...We were all pretty upset at witnessing that, but none more than Joe who was responsible... He did capture the next one he saw and we drove back to Prescott, victorious!

From the Oceanside Blade, Sept. 17, 1898: The town of Jerome, Ariz., was almost totally destroyed by fire Sunday morning. About twelve lives were lost while the property loss will reach nearly a million. A gasoline explosion was the cause.